Work order:
Next, duplicate everything underneath unchanged.
Source:
********
VASP calculation (PBE-GGA) on Li2MgHg after structural relaxation.

Calculated values
E_tot = -27.13 eV for the cell shown

Unit cell a=6.6071 b=6.6071 c=6.6071 alpha=90.00 beta=90.00 gamma=90.00
Closest atoms and distances in Å follow each position.
Space group F-43m (No. 216)
Unique sites:
Li: 0.0000 0.0000 0.0000 (multiplicity 4)  4 Hg 2.86, 4 Li 2.86
Li: 0.2500 0.2500 0.2500 (multiplicity 4)  4 Li 2.86, 4 Mg 2.86
Mg: 0.0000 0.0000 0.5000 (multiplicity 4)  4 Hg 2.86, 4 Li 2.86
Hg: 0.2500 0.2500 0.7500 (multiplicity 4)  4 Li 2.86, 4 Mg 2.86

VASP calculation (PBE-GGA) on Gd3Mg3Pt2Au after structural relaxation.

Calculated values
M_tot = 0.0 μB per formula unit
E_tot = -83.47 eV for the cell shown

Unit cell a=4.0271 b=13.0767 c=7.5379 alpha=90.00 beta=90.00 gamma=90.00
Closest atoms and distances in Å follow each position.
Space group Amm2 (No. 38)
Unique sites:
Gd: 0.0000 0.0000 0.0000 (multiplicity 2)  4 Pt 3.03, 1 Au 3.14, 6 Mg 3.22-3.40
Gd: 0.0000 0.2082 0.6238 (multiplicity 4)  4 Pt 3.03, 1 Au 3.14, 2 Mg 3.23
Mg: 0.5000 0.0000 0.6661 (multiplicity 2)  2 Au 2.76, 2 Pt 2.88
Mg: 0.5000 0.1249 0.2910 (multiplicity 4)  2 Au 2.76, 2 Pt 2.88
Pt: 0.5000 0.1667 0.9159 (multiplicity 4)  3 Mg 2.88, 6 Gd 3.03
Au: 0.0000 0.0000 0.4165 (multiplicity 2)  6 Mg 2.76

VASP calculation (PBE-GGA) on Ag2SnTe3 after structural relaxation.

Calculated values
Excess energy over the best structure of this formula in the dataset = 0.008 eV/atom
E_tot = -79.56 eV for the cell shown

Unit cell a=13.7532 b=7.9132 c=7.5473 alpha=90.00 beta=90.00 gamma=90.00
Closest atoms and distances in Å follow each position.
Space group Cmc2_1 (No. 36)
********
Response:
VASP calculation (PBE-GGA) on Li2MgHg after structural relaxation.

Calculated values
E_tot = -27.13 eV for the cell shown

Unit cell a=6.6071 b=6.6071 c=6.6071 alpha=90.00 beta=90.00 gamma=90.00
Closest atoms and distances in Å follow each position.
Space group F-43m (No. 216)
Unique sites:
Li: 0.0000 0.0000 0.0000 (multiplicity 4)  4 Hg 2.86, 4 Li 2.86
Li: 0.2500 0.2500 0.2500 (multiplicity 4)  4 Li 2.86, 4 Mg 2.86
Mg: 0.0000 0.0000 0.5000 (multiplicity 4)  4 Hg 2.86, 4 Li 2.86
Hg: 0.2500 0.2500 0.7500 (multiplicity 4)  4 Li 2.86, 4 Mg 2.86

VASP calculation (PBE-GGA) on Gd3Mg3Pt2Au after structural relaxation.

Calculated values
M_tot = 0.0 μB per formula unit
E_tot = -83.47 eV for the cell shown

Unit cell a=4.0271 b=13.0767 c=7.5379 alpha=90.00 beta=90.00 gamma=90.00
Closest atoms and distances in Å follow each position.
Space group Amm2 (No. 38)
Unique sites:
Gd: 0.0000 0.0000 0.0000 (multiplicity 2)  4 Pt 3.03, 1 Au 3.14, 6 Mg 3.22-3.40
Gd: 0.0000 0.2082 0.6238 (multiplicity 4)  4 Pt 3.03, 1 Au 3.14, 2 Mg 3.23
Mg: 0.5000 0.0000 0.6661 (multiplicity 2)  2 Au 2.76, 2 Pt 2.88
Mg: 0.5000 0.1249 0.2910 (multiplicity 4)  2 Au 2.76, 2 Pt 2.88
Pt: 0.5000 0.1667 0.9159 (multiplicity 4)  3 Mg 2.88, 6 Gd 3.03
Au: 0.0000 0.0000 0.4165 (multiplicity 2)  6 Mg 2.76

VASP calculation (PBE-GGA) on Ag2SnTe3 after structural relaxation.

Calculated values
Excess energy over the best structure of this formula in the dataset = 0.008 eV/atom
E_tot = -79.56 eV for the cell shown

Unit cell a=13.7532 b=7.9132 c=7.5473 alpha=90.00 beta=90.00 gamma=90.00
Closest atoms and distances in Å follow each position.
Space group Cmc2_1 (No. 36)